Restate the lines further down up to the one that holds "0.34115", that line included.

********
C56H100N12 | wB97M-V/def2-TZVPD

```
! wB97M-V def2-TZVPD RIJCOSX def2/J DEFGRID3
* xyz 0 1
N 6.76621 3.63715 -4.14363
C 5.75991 4.01748 -3.38120
C 5.56250 5.38034 -3.47218
C 6.67895 5.80656 -4.00458
C 7.42555 4.76835 -4.59185
H 7.03843 2.67918 -4.31175
H 5.06187 3.25507 -3.06833
H 4.76279 5.96313 -3.03952
H 7.15326 6.77268 -3.91495
H 8.41465 4.80432 -5.02404
N 0.03008 -0.78819 -7.76447
C 1.00876 0.14067 -8.11486
C 1.74645 -0.40401 -9.15371
C 1.37733 -1.78393 -9.28101
C 0.19755 -1.93165 -8.52026
H -0.68013 -0.56552 -7.08173
H 1.01809 1.00558 -7.46814
H 2.53571 0.24880 -9.49621
H 1.86501 -2.57012 -9.83821
H -0.47373 -2.76567 -8.37817
N 0.74102 9.47275 0.78926
C 1.91156 9.58642 0.25830
C 1.70807 10.08349 -1.01852
C 0.34146 10.28039 -1.23880
C -0.30809 9.75299 -0.10145
H 0.52541 9.22294 1.74383
H 2.74137 9.17872 0.81649
H 2.47969 10.40148 -1.70401
H -0.06162 10.71926 -2.13954
H -1.31546 9.61175 0.26141
N -1.41413 3.81168 -0.01365
C -2.01590 2.85237 0.75073
C -1.74614 1.68853 0.00469
C -0.93928 1.91143 -1.07821
C -0.74695 3.31169 -1.09807
H -1.37543 4.75718 0.33939
H -2.56142 3.15913 1.63091
H -2.08423 0.68060 0.19486
H -0.45172 1.17867 -1.70411
H -0.16657 3.96948 -1.72806
N 3.72573 6.67932 6.28839
C 2.47054 6.63906 5.68528
C 2.33506 5.51892 4.99621
C 3.48624 4.71875 5.15356
C 4.24347 5.38164 6.07592
H 4.03776 7.42661 6.89196
H 1.78274 7.42086 5.97183
H 1.46698 5.26785 4.40477
H 3.60240 3.84582 4.52834
H 5.22463 5.13092 6.45125
N -3.66092 9.11864 5.05425
C -4.42244 8.71938 3.95386
C -4.38113 7.32988 3.82442
C -3.77976 6.86174 5.02458
C -3.49178 8.00455 5.74770
H -3.31867 10.04258 5.27628
H -4.89016 9.37307 3.23252
H -4.74821 6.65292 3.06720
H -3.65547 5.83164 5.32433
H -2.99103 8.09567 6.70025
N -0.28309 6.65457 -10.71274
C -1.33338 7.47762 -10.35771
C -1.77396 7.10961 -9.15355
C -0.95756 6.15368 -8.63337
C 0.04567 5.96743 -9.54351
H 0.17360 6.57096 -11.60970
H -1.60666 8.29449 -11.00920
H -2.62958 7.52371 -8.64089
H -1.04266 5.73741 -7.64046
H 0.99353 5.44981 -9.53852
N -5.70182 -0.04504 -7.34872
C -5.79966 -1.38587 -7.20892
C -5.47712 -1.71126 -5.92705
C -5.13051 -0.52054 -5.24465
C -5.29050 0.43054 -6.18988
H -5.78710 0.50665 -8.19042
H -6.04648 -1.99677 -8.06466
H -5.47737 -2.70614 -5.50679
H -5.01104 -0.50596 -4.17137
H -5.10949 1.49423 -6.23669
C -8.70075 -8.57563 -0.07347
C -8.99303 -7.30001 0.73764
N -8.07149 -6.19047 0.43849
C -6.65673 -6.40268 0.87597
C -5.70627 -5.46656 0.10301
C -8.62380 -4.84523 0.76598
C -8.84066 -4.55059 2.23192
H -8.66677 -8.52339 -1.16168
H -9.45605 -9.26988 0.29483
H -7.76548 -9.12217 0.04769
H -10.03162 -7.09670 0.47667
H -8.93729 -7.42039 1.81954
H -6.50803 -6.28138 1.94895
H -6.29537 -7.40480 0.64516
H -5.79253 -5.45122 -0.98346
H -5.77602 -4.43127 0.43679
H -4.67623 -5.80147 0.22535
H -9.62320 -4.70422 0.35439
H -8.06855 -4.00898 0.34115
H -9.59433 -5.23210 2.62641
H -9.09931 -3.49926 2.35799
H -7.94258 -4.83114 2.78223
C 2.79103 -6.02433 6.69347
C 2.87060 -5.08771 5.43145
N 3.57446 -5.51002 4.25689
C 4.91933 -5.91171 4.61117
C 5.75819 -6.41464 3.42366
C 3.49995 -4.59284 3.09945
C 2.15822 -3.84428 2.70510
H 3.69971 -5.89766 7.28199
H 2.83874 -7.09012 6.47005
H 1.98820 -5.72306 7.36638
H 1.88213 -4.72109 5.15464
H 3.37428 -4.15599 5.68895
H 5.40901 -5.07844 5.11514
H 5.04675 -6.80655 5.22038
H 6.34281 -7.25795 3.79128
H 5.15959 -6.90294 2.65468
H 6.34836 -5.57061 3.06670
H 3.79290 -5.10680 2.18395
H 4.30768 -3.86291 3.15290
H 2.03911 -2.83431 3.09738
H 1.29969 -4.50398 2.83092
H 2.20043 -3.50885 1.66885
C -4.48200 -2.59406 9.86073
C -3.37113 -3.21455 9.05623
N -3.93579 -3.82604 7.86247
C -3.27938 -4.90447 7.18453
C -3.16889 -6.10130 8.06396
C -4.25654 -2.85215 6.85280
C -3.00862 -2.14459 6.14624
H -5.31997 -3.21500 10.17747
H -5.02434 -1.81313 9.32769
H -4.29109 -2.21500 10.86470
H -2.52253 -2.53518 8.97604
H -2.86789 -4.00848 9.60806
H -3.76693 -5.19729 6.25466
H -2.31305 -4.57208 6.80529
H -2.68668 -6.87583 7.46757
H -2.49716 -5.94846 8.90867
H -4.11672 -6.49279 8.43337
********

C56H100N12 | wB97M-V/def2-TZVPD

```
! wB97M-V def2-TZVPD RIJCOSX def2/J DEFGRID3
* xyz 0 1
N 6.76621 3.63715 -4.14363
C 5.75991 4.01748 -3.38120
C 5.56250 5.38034 -3.47218
C 6.67895 5.80656 -4.00458
C 7.42555 4.76835 -4.59185
H 7.03843 2.67918 -4.31175
H 5.06187 3.25507 -3.06833
H 4.76279 5.96313 -3.03952
H 7.15326 6.77268 -3.91495
H 8.41465 4.80432 -5.02404
N 0.03008 -0.78819 -7.76447
C 1.00876 0.14067 -8.11486
C 1.74645 -0.40401 -9.15371
C 1.37733 -1.78393 -9.28101
C 0.19755 -1.93165 -8.52026
H -0.68013 -0.56552 -7.08173
H 1.01809 1.00558 -7.46814
H 2.53571 0.24880 -9.49621
H 1.86501 -2.57012 -9.83821
H -0.47373 -2.76567 -8.37817
N 0.74102 9.47275 0.78926
C 1.91156 9.58642 0.25830
C 1.70807 10.08349 -1.01852
C 0.34146 10.28039 -1.23880
C -0.30809 9.75299 -0.10145
H 0.52541 9.22294 1.74383
H 2.74137 9.17872 0.81649
H 2.47969 10.40148 -1.70401
H -0.06162 10.71926 -2.13954
H -1.31546 9.61175 0.26141
N -1.41413 3.81168 -0.01365
C -2.01590 2.85237 0.75073
C -1.74614 1.68853 0.00469
C -0.93928 1.91143 -1.07821
C -0.74695 3.31169 -1.09807
H -1.37543 4.75718 0.33939
H -2.56142 3.15913 1.63091
H -2.08423 0.68060 0.19486
H -0.45172 1.17867 -1.70411
H -0.16657 3.96948 -1.72806
N 3.72573 6.67932 6.28839
C 2.47054 6.63906 5.68528
C 2.33506 5.51892 4.99621
C 3.48624 4.71875 5.15356
C 4.24347 5.38164 6.07592
H 4.03776 7.42661 6.89196
H 1.78274 7.42086 5.97183
H 1.46698 5.26785 4.40477
H 3.60240 3.84582 4.52834
H 5.22463 5.13092 6.45125
N -3.66092 9.11864 5.05425
C -4.42244 8.71938 3.95386
C -4.38113 7.32988 3.82442
C -3.77976 6.86174 5.02458
C -3.49178 8.00455 5.74770
H -3.31867 10.04258 5.27628
H -4.89016 9.37307 3.23252
H -4.74821 6.65292 3.06720
H -3.65547 5.83164 5.32433
H -2.99103 8.09567 6.70025
N -0.28309 6.65457 -10.71274
C -1.33338 7.47762 -10.35771
C -1.77396 7.10961 -9.15355
C -0.95756 6.15368 -8.63337
C 0.04567 5.96743 -9.54351
H 0.17360 6.57096 -11.60970
H -1.60666 8.29449 -11.00920
H -2.62958 7.52371 -8.64089
H -1.04266 5.73741 -7.64046
H 0.99353 5.44981 -9.53852
N -5.70182 -0.04504 -7.34872
C -5.79966 -1.38587 -7.20892
C -5.47712 -1.71126 -5.92705
C -5.13051 -0.52054 -5.24465
C -5.29050 0.43054 -6.18988
H -5.78710 0.50665 -8.19042
H -6.04648 -1.99677 -8.06466
H -5.47737 -2.70614 -5.50679
H -5.01104 -0.50596 -4.17137
H -5.10949 1.49423 -6.23669
C -8.70075 -8.57563 -0.07347
C -8.99303 -7.30001 0.73764
N -8.07149 -6.19047 0.43849
C -6.65673 -6.40268 0.87597
C -5.70627 -5.46656 0.10301
C -8.62380 -4.84523 0.76598
C -8.84066 -4.55059 2.23192
H -8.66677 -8.52339 -1.16168
H -9.45605 -9.26988 0.29483
H -7.76548 -9.12217 0.04769
H -10.03162 -7.09670 0.47667
H -8.93729 -7.42039 1.81954
H -6.50803 -6.28138 1.94895
H -6.29537 -7.40480 0.64516
H -5.79253 -5.45122 -0.98346
H -5.77602 -4.43127 0.43679
H -4.67623 -5.80147 0.22535
H -9.62320 -4.70422 0.35439
H -8.06855 -4.00898 0.34115